Exercise.
Now give back everything underneath without additions.

Source.
┌──
(1)
{"formula": "Sb2F13", "functional": "meta-GGA r2SCAN", "state": "relaxed", "lattice": [[5.087, 0.000, 0.000], [1.042, 6.588, 0.000], [1.135, 3.099, 6.653]], "species": ["Sb", "Sb", "F", "F", "F", "F", "F", "F", "F", "F", "F", "F", "F", "F", "F"], "frac_coords": [[0.178, 0.126, 0.213], [0.822, 0.874, 0.787], [0.000, 0.000, 0.500], [0.080, 0.871, 0.207], [0.152, 0.709, 0.863], [0.263, 0.351, 0.277], [0.359, 0.232, 0.957], [0.448, 0.439, 0.598], [0.490, 0.955, 0.339], [0.510, 0.045, 0.661], [0.552, 0.561, 0.402], [0.641, 0.768, 0.043], [0.737, 0.649, 0.723], [0.848, 0.291, 0.137], [0.920, 0.129, 0.793]], "final_energy_ry_per_atom": -0.5880, "sg": "P-1 (2)"}

(2)
{"formula": "Fe2O3", "functional": "meta-GGA r2SCAN", "state": "relaxed", "lattice": [[2.546, 1.470, 4.591], [-2.546, 1.470, 4.591], [0.000, -2.940, 4.591]], "species": ["Fe", "Fe", "Fe", "Fe", "O", "O", "O", "O", "O", "O"], "frac_coords": [[0.145, 0.145, 0.145], [0.355, 0.355, 0.355], [0.645, 0.645, 0.645], [0.855, 0.855, 0.855], [0.055, 0.750, 0.445], [0.250, 0.555, 0.945], [0.445, 0.055, 0.750], [0.555, 0.945, 0.250], [0.750, 0.445, 0.055], [0.945, 0.250, 0.555]], "final_energy_ry_per_atom": -0.8007, "sg": "R-3c (167)"}

(3)
{"formula": "GdTlMo2O8", "functional": "meta-GGA r2SCAN", "state": "relaxed", "lattice": [[5.113, 0.000, 0.000], [0.000, 18.685, 0.000], [0.000, 0.000, 8.075]], "species": ["Gd", "Gd", "Gd", "Gd", "Tl", "Tl", "Tl", "Tl", "Mo", "Mo", "Mo", "Mo", "Mo", "Mo", "Mo", "Mo", "O", "O", "O", "O", "O", "O", "O", "O", "O", "O", "O", "O", "O", "O", "O", "O", "O", "O", "O", "O", "O", "O", "O", "O", "O", "O", "O", "O", "O", "O", "O", "O"], "frac_coords": [[0.000, 0.007, 0.250], [0.000, 0.993, 0.750], [0.500, 0.493, 0.750], [0.500, 0.507, 0.250], [0.000, 0.230, 0.750], [0.000, 0.770, 0.250], [0.500, 0.270, 0.250], [0.500, 0.730, 0.750], [0.020, 0.400, 0.018], [0.020, 0.600, 0.518], [0.480, 0.100, 0.518], [0.480, 0.900, 0.018], [0.520, 0.100, 0.982], [0.520, 0.900, 0.482], [0.980, 0.400, 0.482], [0.980, 0.600, 0.982], [0.106, 0.314, 0.475], [0.106, 0.686, 0.975], [0.225, 0.401, 0.842], [0.225, 0.599, 0.342], [0.238, 0.409, 0.190], [0.238, 0.591, 0.690], [0.248, 0.464, 0.504], [0.248, 0.536, 0.004], [0.252, 0.036, 0.004], [0.252, 0.964, 0.504], [0.262, 0.091, 0.690], [0.262, 0.909, 0.190], [0.275, 0.099, 0.342], [0.275, 0.901, 0.842], [0.394, 0.186, 0.975], [0.394, 0.814, 0.475], [0.606, 0.186, 0.525], [0.606, 0.814, 0.025], [0.725, 0.099, 0.158], [0.725, 0.901, 0.658], [0.738, 0.091, 0.810], [0.738, 0.909, 0.310], [0.748, 0.036, 0.496], [0.748, 0.964, 0.996], [0.752, 0.464, 0.996], [0.752, 0.536, 0.496], [0.762, 0.409, 0.310], [0.762, 0.591, 0.810], [0.775, 0.401, 0.658], [0.775, 0.599, 0.158], [0.894, 0.314, 0.025], [0.894, 0.686, 0.525]], "final_energy_ry_per_atom": -1.3839, "sg": "Pbcn (60)"}

(4)
{"formula": "AcMgZn2", "functional": "meta-GGA r2SCAN", "state": "relaxed", "lattice": [[7.286, 0.000, 0.000], [0.000, 7.286, 0.000], [0.000, 0.000, 7.286]], "species": ["Ac", "Ac", "Ac", "Ac", "Mg", "Mg", "Mg", "Mg", "Zn", "Zn", "Zn", "Zn", "Zn", "Zn", "Zn", "Zn"], "frac_coords": [[0.000, 0.000, 0.000], [0.000, 0.500, 0.500], [0.500, 0.000, 0.500], [0.500, 0.500, 0.000], [0.000, 0.000, 0.500], [0.000, 0.500, 0.000], [0.500, 0.000, 0.000], [0.500, 0.500, 0.500], [0.250, 0.250, 0.250], [0.250, 0.250, 0.750], [0.250, 0.750, 0.250], [0.250, 0.750, 0.750], [0.750, 0.250, 0.250], [0.750, 0.250, 0.750], [0.750, 0.750, 0.250], [0.750, 0.750, 0.750]], "final_energy_ry_per_atom": -1.6817, "sg": "Fm-3m (225)"}

(5)
└──

Response.
(1)
{"formula": "Sb2F13", "functional": "meta-GGA r2SCAN", "state": "relaxed", "lattice": [[5.087, 0.000, 0.000], [1.042, 6.588, 0.000], [1.135, 3.099, 6.653]], "species": ["Sb", "Sb", "F", "F", "F", "F", "F", "F", "F", "F", "F", "F", "F", "F", "F"], "frac_coords": [[0.178, 0.126, 0.213], [0.822, 0.874, 0.787], [0.000, 0.000, 0.500], [0.080, 0.871, 0.207], [0.152, 0.709, 0.863], [0.263, 0.351, 0.277], [0.359, 0.232, 0.957], [0.448, 0.439, 0.598], [0.490, 0.955, 0.339], [0.510, 0.045, 0.661], [0.552, 0.561, 0.402], [0.641, 0.768, 0.043], [0.737, 0.649, 0.723], [0.848, 0.291, 0.137], [0.920, 0.129, 0.793]], "final_energy_ry_per_atom": -0.5880, "sg": "P-1 (2)"}

(2)
{"formula": "Fe2O3", "functional": "meta-GGA r2SCAN", "state": "relaxed", "lattice": [[2.546, 1.470, 4.591], [-2.546, 1.470, 4.591], [0.000, -2.940, 4.591]], "species": ["Fe", "Fe", "Fe", "Fe", "O", "O", "O", "O", "O", "O"], "frac_coords": [[0.145, 0.145, 0.145], [0.355, 0.355, 0.355], [0.645, 0.645, 0.645], [0.855, 0.855, 0.855], [0.055, 0.750, 0.445], [0.250, 0.555, 0.945], [0.445, 0.055, 0.750], [0.555, 0.945, 0.250], [0.750, 0.445, 0.055], [0.945, 0.250, 0.555]], "final_energy_ry_per_atom": -0.8007, "sg": "R-3c (167)"}

(3)
{"formula": "GdTlMo2O8", "functional": "meta-GGA r2SCAN", "state": "relaxed", "lattice": [[5.113, 0.000, 0.000], [0.000, 18.685, 0.000], [0.000, 0.000, 8.075]], "species": ["Gd", "Gd", "Gd", "Gd", "Tl", "Tl", "Tl", "Tl", "Mo", "Mo", "Mo", "Mo", "Mo", "Mo", "Mo", "Mo", "O", "O", "O", "O", "O", "O", "O", "O", "O", "O", "O", "O", "O", "O", "O", "O", "O", "O", "O", "O", "O", "O", "O", "O", "O", "O", "O", "O", "O", "O", "O", "O"], "frac_coords": [[0.000, 0.007, 0.250], [0.000, 0.993, 0.750], [0.500, 0.493, 0.750], [0.500, 0.507, 0.250], [0.000, 0.230, 0.750], [0.000, 0.770, 0.250], [0.500, 0.270, 0.250], [0.500, 0.730, 0.750], [0.020, 0.400, 0.018], [0.020, 0.600, 0.518], [0.480, 0.100, 0.518], [0.480, 0.900, 0.018], [0.520, 0.100, 0.982], [0.520, 0.900, 0.482], [0.980, 0.400, 0.482], [0.980, 0.600, 0.982], [0.106, 0.314, 0.475], [0.106, 0.686, 0.975], [0.225, 0.401, 0.842], [0.225, 0.599, 0.342], [0.238, 0.409, 0.190], [0.238, 0.591, 0.690], [0.248, 0.464, 0.504], [0.248, 0.536, 0.004], [0.252, 0.036, 0.004], [0.252, 0.964, 0.504], [0.262, 0.091, 0.690], [0.262, 0.909, 0.190], [0.275, 0.099, 0.342], [0.275, 0.901, 0.842], [0.394, 0.186, 0.975], [0.394, 0.814, 0.475], [0.606, 0.186, 0.525], [0.606, 0.814, 0.025], [0.725, 0.099, 0.158], [0.725, 0.901, 0.658], [0.738, 0.091, 0.810], [0.738, 0.909, 0.310], [0.748, 0.036, 0.496], [0.748, 0.964, 0.996], [0.752, 0.464, 0.996], [0.752, 0.536, 0.496], [0.762, 0.409, 0.310], [0.762, 0.591, 0.810], [0.775, 0.401, 0.658], [0.775, 0.599, 0.158], [0.894, 0.314, 0.025], [0.894, 0.686, 0.525]], "final_energy_ry_per_atom": -1.3839, "sg": "Pbcn (60)"}

(4)
{"formula": "AcMgZn2", "functional": "meta-GGA r2SCAN", "state": "relaxed", "lattice": [[7.286, 0.000, 0.000], [0.000, 7.286, 0.000], [0.000, 0.000, 7.286]], "species": ["Ac", "Ac", "Ac", "Ac", "Mg", "Mg", "Mg", "Mg", "Zn", "Zn", "Zn", "Zn", "Zn", "Zn", "Zn", "Zn"], "frac_coords": [[0.000, 0.000, 0.000], [0.000, 0.500, 0.500], [0.500, 0.000, 0.500], [0.500, 0.500, 0.000], [0.000, 0.000, 0.500], [0.000, 0.500, 0.000], [0.500, 0.000, 0.000], [0.500, 0.500, 0.500], [0.250, 0.250, 0.250], [0.250, 0.250, 0.750], [0.250, 0.750, 0.250], [0.250, 0.750, 0.750], [0.750, 0.250, 0.250], [0.750, 0.250, 0.750], [0.750, 0.750, 0.250], [0.750, 0.750, 0.750]], "final_energy_ry_per_atom": -1.6817, "sg": "Fm-3m (225)"}

(5)